What is needed: say how many lines of the entries further down hold the word "column", as a bare number.

- - -
# 1
The following is a DFT calculation (PBE+U) of an optimized crystal structure of Li9Mn2Co5O16.

Computed properties:
Total energy = -5.824 eV/atom
M_tot = 8.0 μB/f.u.
Volume = 8.89 Å³/atom

a b c (Å): 4.9954 5.8732 10.2240
angles (deg): 89.66 98.19 106.56
Last column: nearest neighbours and their distance in Å.
Atoms (fractional coordinates):
Li 0.4916 0.8714 0.6181  5 O 2.07-2.22
O 0.7406 0.6644 0.5659  2 Co 1.87-2.05, 2 Li 2.01-2.09
O 0.7684 0.7142 0.0716  2 Mn 1.96-2.03, 1 Co 1.96, 2 Li 2.14-2.19
Co 0.9980 0.2519 0.7420  5 O 1.92-2.11
O 0.2434 0.0816 0.6900  3 Co 1.92-2.12, 1 Li 2.10
O 0.2509 0.2868 0.9382  1 Mn 1.94, 1 Co 1.95, 2 Li 2.15-2.17
Li 0.4960 0.6216 0.8706  6 O 2.09-2.27
Li 0.5074 0.1277 0.3756  6 O 2.11-2.22
O 0.2468 0.0398 0.1783  1 Co 1.95, 2 Mn 1.98-2.04, 1 Li 2.12
Mn 0.9998 0.7454 0.2540  6 O 1.88-2.04
O 0.7656 0.1633 0.0665  1 Mn 1.90, 1 Co 1.97, 2 Li 2.12-2.13
Mn 0.0069 0.0029 0.0041  6 O 1.90-1.98
O 0.7480 0.9222 0.2968  1 Co 1.92, 1 Mn 1.94, 2 Li 2.06-2.08
O 0.7459 0.1921 0.5657  3 Co 2.01-2.09, 3 Li 2.07-2.11
O 0.2518 0.5913 0.1848  1 Co 1.93, 1 Mn 1.95, 3 Li 2.03-2.11
Li 0.9961 0.7488 0.7398  5 O 2.01-2.23
O 0.2716 0.8414 0.9515  2 Co 1.96-2.00, 1 Mn 1.96, 1 Li 2.17
Co 0.4969 0.3823 0.6146  5 O 1.87-2.07
Co 0.5034 0.1248 0.8768  5 O 1.92-2.12
Li 0.5024 0.3795 0.1348  6 O 2.03-2.25
O 0.7613 0.9525 0.8331  2 Co 1.95-2.11, 1 Mn 1.96, 1 Li 2.09
Li 0.4938 0.6247 0.3718  6 O 2.06-2.16
O 0.2364 0.3209 0.4431  2 Co 1.90-2.00, 3 Li 2.06-2.08
O 0.7465 0.4090 0.8157  2 Co 1.92-1.98, 1 Li 2.13
Li 0.0064 0.4970 0.0061  6 O 2.03-2.20
Co 0.5092 0.8755 0.1291  6 O 1.92-2.00
O 0.2167 0.8068 0.4231  1 Mn 1.88, 1 Co 2.01, 2 Li 2.03-2.10
Li 0.9856 0.9964 0.4967  6 O 2.03-2.19
Co 0.9999 0.4987 0.4927  6 O 1.90-2.11
O 0.2371 0.5562 0.6834  3 Co 1.99-2.11, 3 Li 2.01-2.12
O 0.7694 0.4557 0.3085  1 Mn 1.89, 3 Li 2.02-2.08, 1 Co 2.04
Li 0.0063 0.2530 0.2569  6 O 2.02-2.20



# 2
The following is a DFT calculation (PBE+U) of an optimized crystal structure of K3Mn3H2C12O13.

Computed properties:
Total energy = -6.890 eV/atom
M_tot = 0.0 μB/f.u.
Volume = 14.92 Å³/atom

a b c (Å): 14.2091 8.8708 15.9331
angles (deg): 78.69 90.00 90.00
Last column: nearest neighbours and their distance in Å.
Atoms (fractional coordinates):
O 0.0569 0.0669 0.8158  1 C 1.18
O 0.8867 0.4348 0.6092  1 C 1.19
C 0.8177 0.0149 0.3629  1 O 1.18
C 0.7171 0.5479 0.4318  1 O 1.21
K 0.9660 0.8196 0.6405  6 O 2.71-3.03
O 0.3405 0.8813 0.1050  1 C 1.18
O 0.1891 0.5755 0.0790  1 C 1.21
O 0.3881 0.9246 0.5528  1 C 1.18
H 0.1816 0.5803 0.8157  1 O 0.98
C 0.1114 0.4607 0.6224  1 O 1.18
O 0.6973 0.3186 0.6728  2 H 0.97-0.98
O 0.5081 0.1500 0.0492  1 C 1.19
H 0.8184 0.4197 0.1843  1 O 0.98
C 0.8805 0.9043 0.2335  1 O 1.18
H 0.3622 0.7368 0.3245  1 O 0.97
O 0.9919 0.1500 0.5492  1 C 1.19
C 0.6114 0.5393 0.8776  1 O 1.18
Mn 0.8399 0.6514 0.4495  3 C 1.76-1.80
O 0.0578 0.3747 0.8999  1 C 1.18
H 0.6378 0.2632 0.6755  1 O 0.97
O 0.5254 0.6980 0.3168  1 C 1.19
O 0.7186 0.5983 0.2327  1 C 1.18
Mn 0.2166 0.1312 0.6957  4 C 1.75-1.82
O 0.3109 0.5755 0.5790  1 C 1.21
O 0.4746 0.3020 0.6832  1 C 1.19
C 0.6195 0.9043 0.7335  1 O 1.18
C 0.8027 0.9872 0.7472  1 O 1.19
C 0.3027 0.0128 0.7528  1 O 1.19
C 0.2171 0.4521 0.0682  1 O 1.21
Mn 0.2834 0.1312 0.1957  4 C 1.75-1.82
C 0.8886 0.5393 0.3776  1 O 1.18
Mn 0.6601 0.6514 0.9495  3 C 1.76-1.80
O 0.1388 0.9319 0.2918  1 C 1.19
Mn 0.7834 0.8688 0.3043  4 C 1.75-1.82
C 0.2541 0.3009 0.7351  1 O 1.18
C 0.9406 0.7732 0.4463  1 O 1.19
O 0.3612 0.9319 0.7918  1 C 1.19
C 0.7541 0.6991 0.7649  1 O 1.18
O 0.3027 0.6814 0.3272  2 H 0.97-0.98
Mn 0.3334 0.2467 0.5551  3 C 1.77-1.79
O 0.8405 0.1187 0.3950  1 C 1.18
H 0.6816 0.4197 0.6843  1 O 0.98
O 0.2186 0.4017 0.2673  1 C 1.18
C 0.3670 0.4771 0.9544  1 O 1.19
C 0.1973 0.0128 0.2528  1 O 1.19
O 0.8109 0.4245 0.9210  1 C 1.21
C 0.1330 0.4771 0.4544  1 O 1.19
O 0.6891 0.4245 0.4210  1 C 1.21
O 0.9422 0.6253 0.1001  1 C 1.18
C 0.8670 0.5229 0.5456  1 O 1.19
C 0.5815 0.7210 0.3679  1 O 1.19
- - -

2